Which Social Media Channels Should I Advertise On?

badges showing different social media channel icons on them

Ok, so you’ve just set up your new business. Or maybe your business is around a while but you’re only now introducing social media marketing. So, how do you know which platforms will serve your business best?
There are a few things you need to consider when choosing which social media channels to have a presence on…

Target Market

**Misplaced materials data:**
'''
Starting from DFT lattice parameters and positions (PBE), the XRD peak list of NaNbSi2SnSO12 was simulated for Cu Kα (λ = 1.5418 Å).
No peak broadening, texture or thermal motion is included.

Principal peaks in the range 10° ≤ 2θ ≤ 80°, in order of rising 2θ:
19.15°, I = 28
19.40°, I = 51
19.99°, I = 100
23.16°, I = 23
27.82°, I = 32
30.64°, I = 25
30.88°, I = 24
31.09°, I = 31
34.99°, I = 35
54.67°, I = 27

Crystal structure
```
NaNbSi2SnSO12
1.0
7.694 -4.442 0.000
7.694 4.442 0.000
-5.261 0.000 7.640
Na Nb Si Sn S O
2 2 4 2 2 24
Cartesian
5.063 2.377 3.820
7.694 -2.377 0.000
5.261 2.215 0.444
2.631 -2.215 4.265
2.217 3.465 5.642
2.620 0.382 1.820
-0.011 -0.382 5.640
4.847 -3.465 1.822
5.140 2.366 7.088
7.771 -2.366 3.268
8.116 0.926 1.843
5.485 -0.926 5.663
1.378 1.427 1.897
1.255 3.187 6.967
-0.348 0.473 4.313
3.643 2.693 5.782
4.025 1.247 1.671
2.283 -0.473 0.493
0.128 0.626 6.956
-1.252 -1.427 5.717
6.782 1.619 1.746
2.759 -0.626 3.136
1.394 -1.247 5.491
8.908 1.141 0.620
8.741 1.513 3.055
5.236 0.511 5.810
11.848 1.506 0.468
7.866 -0.511 1.989
4.151 -1.619 5.566
6.277 -1.141 4.440
3.886 -3.187 3.146
6.274 -2.693 1.962
10.102 0.665 5.477
6.111 -1.513 6.875
9.217 -1.506 4.289
12.733 -0.665 1.657
```

* * * * *

TmCd2: calculated powder diffractogram (Cu Kα X-rays), based on the PBE geometry in the Materials Project.
Peak positions follow from Bragg's law for the DFT cell and can differ from measured ones.

Largest 12 diffraction maxima, sorted by position, 2θ from 10° to 90°:
2θ (°)	d [Å]	Rel. int.
18.96	4.682	7
27.87	3.201	50
33.14	2.703	100
33.92	2.643	8
43.84	2.065	87
57.59	1.601	5
59.21	1.561	18
66.67	1.403	24
68.08	1.377	19
69.56	1.352	11
76.51	1.245	16
87.25	1.117	10

Atomic structure:
```
data_TmCd2
_chemical_formula_sum 'Tm1 Cd2'
_symmetry_space_group_name_H-M 'P 1'
_symmetry_Int_Tables_number 1
_cell_length_a 5.4062
_cell_length_b 5.4062
_cell_length_c 3.2012
_cell_angle_alpha 90.00
_cell_angle_beta 90.00
_cell_angle_gamma 120.00
loop_
_symmetry_equiv_pos_as_xyz
'x,y,z'
loop_
_atom_site_label
_atom_site_type_symbol
_atom_site_fract_x
_atom_site_fract_y
_atom_site_fract_z
Tm1 Tm 0.0000 0.0000 0.0000
Cd1 Cd 0.3333 0.6667 0.0472
Cd2 Cd 0.6667 0.3333 0.9528
```

La2Sn5Rh3: calculated powder diffractogram (Cu Kα X-rays), based on the PBE geometry in the Materials Project.
Peak positions follow from Bragg's law for the DFT cell and can differ from measured ones.

Largest 12 diffraction maxima, sorted by position, 2θ from 10° to 90°:
2θ (°)	d [Å]	Rel. int.
31.26	2.862	62
31.75	2.818	19
31.90	2.805	84
32.11	2.787	100
35.51	2.528	24
36.24	2.479	20
39.18	2.299	88
43.24	2.092	20
45.83	1.980	21
56.89	1.618	22
62.84	1.479	18
66.71	1.402	21

Atomic structure:
```
data_La2Sn5Rh3
_chemical_formula_sum 'La4 Sn10 Rh6'
_symmetry_space_group_name_H-M 'P 1'
_symmetry_Int_Tables_number 1
_cell_length_a 9.1230
_cell_length_b 9.1230
_cell_length_c 9.1230
_cell_angle_alpha 106.11
_cell_angle_beta 88.53
_cell_angle_gamma 138.44
loop_
'''
**Here the page continues:**

This is one of the most important factors when choosing. You want to make sure you’re connecting with the right people, those who will ultimately convert to customers. If you have an established business, you should already have a clear picture of who your target market is. If it’s a new business, you should be starting with some idea of your ideal target market which you’ll refine with further research. 
Basic segmentation characteristics like age, location, gender, etc, should be your starting point. Once you know the demographics of your target market you can then compare to the social platform demographics. You might find this an easy way to rule out a particular channel. For example, if your target market is age 55+, it may not be worth investing in TikTok which sees a mainly younger demographic using its platform.

Social Media Objectives

Certain social channels can be better suited to certain objectives. If your objective is brand awareness, Facebook might be the best option for your business. With over 4 million users in Ireland in 2022, Facebook still holds hugely popular as a choice of social platform.
LinkedIn would be a good choice if your objective is lead generation and if you’re a B2B company. It’s a social channel for professionals and you’ve more chance of reaching the decision makers of a business. 

If your objective is direct sales from your social media channel, Instagram might be the right choice to showcase your products. You need to do your research on each social channel before deciding. If it doesn’t seem like one will align with your objectives, you’re probably better off not wasting any budget on it.


I would recommend using Facebook for any type of business. It still boasts a huge audience, it delivers on generating ROI and it offers great capability with its targeting and measuring options. However, Facebook is hard on your budget. Organic reach has declined over the years and, unfortunately, if you’re not willing to spend on ads you probably won’t see great results. 
This is why it’s good to introduce another channel into your mix. One that will provide more reach with organic posts, like Instagram. It’s important not to get carried away with your social channels. Thinking you need a presence across them all will result in a budget that’s being stretched way too thin and poorer quality posts. Focus your efforts on one to three channels that you know your target market frequent. And post quality content that your audience will want to naturally share. 

Competitor Analysis

Which social channels are your competitors using? What type of content are they posting? What level of engagement are they getting? Which channel is providing the highest engagement rate for them?
Finding out the answers to these types of questions will give you a great insight into what channels are performing best for your industry. In some cases, it will even help with what not to do! Learn from your competitor results and apply your learnings into your own social strategy.

Types of Content

Depending on the type of content you want to deliver, and depending on the type of content your audience best interacts with, certain social platforms are better than others. 
Instagram is best known for its rich media content. Photos and videos are favoured on this platform. If you have beautiful product imagery, Instagram can be the perfect channel to grab attention.
Articles, blog posts and industry news or research posts all perform well on LinkedIn. And Facebook sees great results for video posts. But various content types still do well on Facebook so don’t be afraid to experiment. Inspirational content does well on Pinterest.
Take the time to develop a social calendar where your posts are tailored for the specific social media channel. Your efforts will be worth it when your audience appreciates the relevancy of your posts.


Don’t choose your social media channels based on the most popular platforms. Research which ones your target market is using, study what’s working for your competitors and align your objectives. Then, develop a social strategy that’ll provide the best results for your budget and make sure you’re posting the right types of content on your different channels.

If you’re struggling with your social posting or need some help developing a social strategy, fill out the form on the contact page with your specific requirements and I’ll come back with a quote.